Assignment =
Give back only the lines underneath with the word "DEFGRID3" in them.

Entries =
=====
# 1
# C7H10NP

An isolated molecule of C7H10NP in a non-equilibrium geometry (ωB97M-V/def2-TZVPD, the Open Molecules 2025 dataset).

```
! wB97M-V def2-TZVPD RIJCOSX def2/J DEFGRID3
* xyz 0 1
H -0.68 1.50 1.72
H 0.23 2.06 -1.01
H 0.16 -0.73 2.22
C 0.25 -0.30 1.20
C 0.07 -1.47 0.19
C 1.86 1.28 0.16
C -0.56 -1.57 -0.94
H 2.00 0.53 2.02
C 1.72 0.18 1.05
H -3.02 -1.22 -2.93
H 0.55 -2.33 0.57
H -0.71 -2.55 -1.37
P -1.05 -0.26 -2.11
C -0.47 0.94 0.71
H 0.61 2.81 0.52
C 0.49 1.80 0.02
N -2.40 -0.47 -2.91
H 2.28 -0.83 0.82
H -1.33 0.63 0.08
*
```

Properties
- max |F| (eV/Å) = 4.40
- LUMO (eV) = -0.5
- HOMO energy (eV) = -8.405

Löwdin analysis output, partial charges in e: number 1, H, carries 0.1548; number 2, H, carries 0.0840; number 3, H, carries 0.1489; number 4, C, carries -0.2996; number 5, C, carries -0.1624; number 6, C, carries 0.0623; number 7, C, carries -0.3319; number 8, H, carries 0.1156; number 9, C, carries -0.2377; number 10, H, carries -0.0686; number 11, H, carries 0.0898; number 12, H, carries 0.0556; number 13, P, carries 0.8635; number 14, C, carries -0.2337; number 15, H, carries 0.1444; number 16, C, carries -0.3030; number 17, N, carries -0.2956; number 18, H, carries 0.1541; number 19, H, carries 0.0597

---

# 2
# C7H10NP

A cluster of 2 separate species, C7H10NP in total in a non-equilibrium geometry (ωB97M-V/def2-TZVPD, the Open Molecules 2025 dataset).

```
! wB97M-V def2-TZVPD RIJCOSX def2/J DEFGRID3
* xyz 0 1
C -1.11 0.59 -2.01
P 1.24 1.33 -0.30
C 0.07 0.96 1.09
H -1.14 -0.78 1.78
C -0.15 -0.47 1.48
H -1.94 1.28 -1.91
H 0.17 0.75 3.31
C 3.06 -2.47 0.34
C 0.22 1.01 -1.56
H 0.39 -1.23 0.93
H 1.69 0.29 2.45
C -0.02 0.91 -3.00
H -0.09 1.83 -3.57
N 3.75 -1.77 -0.23
H 2.42 -3.14 0.86
H -0.78 1.63 1.14
H -1.41 -0.44 -1.87
H 0.44 0.10 -3.54
C 0.62 0.44 2.38
*
```

Properties
- max |F| (eV/Å) = 1.15
- LUMO (eV) = 0.6
- HOMO energy (eV) = -8.809
- SMILES string = C1CC1=PC1CC1.C#N

Löwdin analysis output, partial charges in e: number 1, C, carries -0.1588; number 2, P, carries 0.9974; number 3, C, carries -0.5356; number 4, H, carries 0.0938; number 5, C, carries -0.1886; number 6, H, carries 0.0983; number 7, H, carries 0.0925; number 8, C, carries -0.1011; number 9, C, carries -0.5831; number 10, H, carries 0.0659; number 11, H, carries 0.0834; number 12, C, carries -0.1662; number 13, H, carries 0.0971; number 14, N, carries 0.0612; number 15, H, carries 0.0473; number 16, H, carries 0.0958; number 17, H, carries 0.0988; number 18, H, carries 0.0981; number 19, C, carries -0.1963

---

# 3
# C7H10O

An isolated molecule of C7H10O in a non-equilibrium geometry (ωB97M-V/def2-TZVPD, the Open Molecules 2025 dataset).

```
! wB97M-V def2-TZVPD RIJCOSX def2/J DEFGRID3
* xyz 0 1
H 1.01 1.70 -1.04
C 0.33 -0.22 -0.20
H -2.61 -0.68 -1.04
C -1.17 1.35 0.16
H -2.62 -1.32 0.78
H 0.79 1.63 0.71
H 1.35 -2.41 0.39
C -1.94 -1.16 -0.20
H -1.58 1.92 1.18
H -2.11 1.55 -0.35
C -0.92 -0.21 -0.05
C 2.55 -0.80 0.05
H -1.73 -2.30 -0.17
C 1.44 -1.34 -0.04
H -0.15 1.77 -0.39
H 3.59 -1.07 0.54
O 2.52 0.58 -0.18
C 1.26 1.02 -0.17
*
```

Properties
- max |F| (eV/Å) = 9.40
- LUMO (eV) = 0.9
- HOMO energy (eV) = -8.202
- SMILES string = CC(C)=C1C=COC1

Löwdin analysis output, partial charges in e: number 1, H, carries 0.1435; number 2, C, carries -0.1545; number 3, H, carries 0.1217; number 4, C, carries -0.0780; number 5, H, carries 0.1184; number 6, H, carries 0.1422; number 7, H, carries 0.1443; number 8, C, carries -0.0891; number 9, H, carries 0.1436; number 10, H, carries 0.0456; number 11, C, carries -0.3665; number 12, C, carries -0.1739; number 13, H, carries 0.1041; number 14, C, carries -0.0273; number 15, H, carries 0.0622; number 16, H, carries 0.1763; number 17, O, carries -0.0513; number 18, C, carries -0.2612

---

# 4
# C7H10O

A structure of composition C7H10O in a non-equilibrium geometry (ωB97M-V/def2-TZVPD, the Open Molecules 2025 dataset).

```
! wB97M-V def2-TZVPD RIJCOSX def2/J DEFGRID3
* xyz 0 1
H -1.43 -0.03 1.88
=====

Done =
! wB97M-V def2-TZVPD RIJCOSX def2/J DEFGRID3
! wB97M-V def2-TZVPD RIJCOSX def2/J DEFGRID3
! wB97M-V def2-TZVPD RIJCOSX def2/J DEFGRID3
! wB97M-V def2-TZVPD RIJCOSX def2/J DEFGRID3